What is Alternative History?
What is Alternative History? Very simply, the exercise of taking a look at history and asking “what if”? What if an important historical event had gone differently? Could that have changed the world? And if so, how? There’s a whole genre of novels out there that explore alternative history in different ways.
Popular “what if” questions that you may have run into include the ever-favorite “what if the Nazis had won the Second World War?” (“Fatherland” by Robert Harris, which has also been made into a movie and “Disaster at D-Day: The Germans Defeat the Allies, June 1944” by Peter Tsouras being cases in point). Others include “what if the South had won the US Civil War?” (“The Guns of the South” by Harry Turtledove being a case in point). There are many other such examples that are just as interesting.
An Alternative History of the Winter War

Finland. Be Afraid. Be Very Afraid.
• The page is interrupted by crystal structures:
********
Tm7Al5Ga: relaxed, GGA-PBE.

Computed properties:
The formation energy is -0.214 eV/atom. The value obtained for the spin magnetization is 0.0 μB per formula unit. As for the space group: Imm2, No. 44.

a b c (Å): 6.0778 7.8000 7.8000
angles (deg): 78.79 67.07 67.07
Closest atoms and distances in Å follow each position.
Element x y z (fractional)
Tm1 0.6041 0.3959 0.3959  4 Al 3.28, 1 Ga 3.32, 8 Tm 3.39-3.67
Tm2 0.2249 0.7751 0.7751  6 Al 3.06-3.10, 1 Ga 3.14
Tm3 0.0213 0.2910 0.6665  5 Al 3.02-3.13, 3 Tm 3.25-3.37, 1 Ga 3.26
Tm4 0.0213 0.6665 0.2910  5 Al 3.02-3.13, 3 Tm 3.25-3.37, 1 Ga 3.26
Tm5 0.2773 0.2227 0.2227  4 Al 2.93, 4 Tm 3.11-3.25
Tm6 0.5308 0.8028 0.1357  5 Al 2.99-3.27, 2 Tm 3.11-3.30
Tm7 0.5308 0.1357 0.8028  5 Al 2.99-3.27, 2 Tm 3.11-3.30
Al1 0.5438 0.9845 0.4735  2 Al 2.76-2.88, 4 Tm 2.93-3.06
Al2 0.9982 0.9845 0.4735  2 Al 2.76-2.88, 4 Tm 2.93-3.06
Al3 0.5438 0.4735 0.9845  2 Al 2.76-2.88, 4 Tm 2.93-3.06
Al4 0.9982 0.4735 0.9845  2 Al 2.76-2.88, 4 Tm 2.93-3.06
Al5 0.7825 0.7175 0.7175  4 Al 2.88, 6 Tm 3.10
Ga1 0.9232 0.0768 0.0768  6 Tm 3.14-3.40, 4 Al 3.21

***

TmAl6Ga: relaxed, GGA-PBE.

Computed properties:
The formation energy is 0.086 eV/atom. The value obtained for the spin magnetization is 0.0 μB per formula unit. As for the space group: C2/m, No. 12.

a b c (Å): 5.6935 5.6935 5.5606
angles (deg): 89.82 89.82 94.69
Closest atoms and distances in Å follow each position.
Element x y z (fractional)
Tm1 0.5000 0.5000 0.5000  12 Al 3.04-3.18
Al1 0.0111 0.5293 0.2638  3 Al 2.64-2.65
Al2 0.5293 0.0111 0.2638  3 Al 2.64-2.65
Al3 0.4707 0.9889 0.7362  3 Al 2.64-2.65
Al4 0.9889 0.4707 0.7362  3 Al 2.64-2.65
Al5 0.3353 0.3353 0.0037  5 Al 2.54-2.65, 1 Ga 2.59
Al6 0.6647 0.6647 0.9963  5 Al 2.54-2.65, 1 Ga 2.59
Ga1 0.0000 0.0000 0.0000  2 Al 2.59

***

TmAlGa: relaxed, GGA-PBE.

Computed properties:
The formation energy is -0.304 eV/atom. The value obtained for the spin magnetization is 0.0 μB per formula unit. As for the space group: I4mm, No. 107.

a b c (Å): 3.3279 3.3279 6.0017
angles (deg): 106.10 106.10 90.00
Closest atoms and distances in Å follow each position.
Element x y z (fractional)
Tm1 0.9984 0.9984 0.9968  4 Ga 3.10, 5 Al 3.14-3.45, 4 Tm 3.33
Al1 0.6862 0.6862 0.3723  4 Ga 2.75
Ga1 0.3154 0.3154 0.6309  4 Al 2.75

***

Tm2AlGa6: relaxed, GGA-PBE.

Computed properties:
The formation energy is -0.254 eV/atom. The value obtained for the spin magnetization is 0.0 μB per formula unit. As for the space group: C2/m, No. 12.

a b c (Å): 3.3059 7.2337 8.5070
angles (deg): 115.16 90.07 90.00
Closest atoms and distances in Å follow each position.
Element x y z (fractional)
Tm1 0.5000 0.7002 0.4004  8 Ga 2.95-3.17, 2 Tm 3.31
Tm2 0.5000 0.2998 0.5996  8 Ga 2.95-3.17, 2 Tm 3.31
Al1 0.0000 0.0000 0.0000  8 Ga 2.61-2.80
Ga1 0.9995 0.3278 0.2925  1 Al 2.61, 1 Ga 2.63
Ga2 0.0005 0.0353 0.7075  1 Al 2.61, 1 Ga 2.63
Ga3 0.0005 0.6722 0.7075  1 Al 2.61, 1 Ga 2.63
Ga4 0.5000 0.3129 0.0000  5 Ga 2.71-2.95, 2 Al 2.80
********
However, this Blog is largely dedicated to Finland. And the Alternative History section of this Blog is focused on an Alternative History of the 1939-1940 Winter War between the Soviet Union and Finland. In reality, Finland put up a hard-fought resistance to the Soviet invasion that cost the Red Army dearly, but an underfunded military, lack of any substantial concrete support and sheer weight of numbers meant that in the end, Finland would agree to the harsh terms imposed by Stalin.
That these terms did not include outright surrender was a tribute to the stubborn resistance to Soviet aggression put up by the Finnish military and the people of Finland under the military leadership of Marshal Carl Gustav Mannerheim. These harsh terms and further acts of aggression by the Soviet Union against Finland would lead to a renewal of the fight with the Soviet Union (the Continuation War as it is known in Finland) and towards the tale end of WW2, war between Finland and Germany (the Lapland War). To put Finland’s fight into context, Helsinki was one of only three European capital cities of countries who fought that was not occupied by any enemy (the other two were London and Moscow). That says a lot by itself.
THIS Alternative History is dedicated to the premise that Finland is better prepared to fight the Winter War. And while alternative history is a literary genre, on this Blog I explore the history itself and how events might have turned out differently – the politics, strategy, culture, people and all those other things that define events. As I have written this I have often digressed into exploration of actual Finnish History and culture (and various other aspects of Finland that interest me as I explore the general theme of this alternative history).
Art, Novels, Finnish writers, industrialisation, events and people little known outside of Finland are all explored. I hope you find the end result interesting, and an insight into Finland and its people. And please do feel free to comment, ask questions and debate.
• Attached: records of crystals:
=====
## CrSbTe2Ir (GGA-PBEsol)

Data for a geometry-optimized CrSbTe2Ir structure.

Structure (POSCAR):
```
CrSbTe2Ir
1.0
4.832 0.000 0.000
0.000 4.832 0.000
0.000 0.000 4.831
Cr Sb Te Ir
1 1 2 1
direct
0.000 0.000 0.000
0.000 0.000 0.500
0.000 0.500 0.000
0.500 0.000 0.000
0.500 0.500 0.500
```

Properties
crystal system	tetragonal
E_tot	-5.29	eV per atom
volume	22.56	A^3/atom

----------

Entry 1:
The following is a DFT calculation (PBE) of a relaxed structure of KSc5S8.

a = 9.775 Å, b = 9.775 Å, c = 9.211 Å
α = 104.70°, β = 104.70°, γ = 22.05°
Sites, in units of the cell vectors:
K 0.000 0.000 0.000
Sc 0.155 0.155 0.457
Sc 0.204 0.204 0.841
Sc 0.500 0.500 0.500
Sc 0.795 0.795 0.158
Sc 0.844 0.844 0.542
S 0.078 0.078 0.648
S 0.267 0.267 0.350
S 0.331 0.331 0.009
S 0.418 0.418 0.687
S 0.581 0.581 0.312
S 0.668 0.668 0.990
S 0.732 0.732 0.650
S 0.921 0.921 0.351

Results
ΔE_f (raw) = -43.2 kcal/mol of atoms



Entry 2:
The following is a DFT calculation (PBE) of a relaxed structure of FeReRh2.

a = 2.711 Å, b = 4.300 Å, c = 4.719 Å
α = 90.00°, β = 90.00°, γ = 90.00°
Sites, in units of the cell vectors:
Fe 0.000 0.000 0.000
Re 0.000 0.500 0.679
Rh 0.500 0.000 0.509
Rh 0.500 0.500 0.164

Results
E above lowest polymorph = 0.45 kcal/mol of atoms
formation enthalpy at 0 K = -0.3 eV per formula unit



Entry 3:
The following is a DFT calculation (PBE) of a relaxed structure of DyErTm2.

a = 11.445 Å, b = 11.445 Å, c = 11.445 Å
α = 17.74°, β = 17.74°, γ = 17.74°
Sites, in units of the cell vectors:
Dy 0.000 0.000 0.000
Er 0.166 0.166 0.166
Tm 0.417 0.417 0.417
Tm 0.582 0.582 0.582

Results
E above lowest polymorph = 0.15 kcal/mol of atoms
formation enthalpy at 0 K = 0.0 eV per formula unit



Entry 4:
The following is a DFT calculation (PBE) of a relaxed structure of Ba2AlCuF9.

a = 5.486 Å, b = 7.434 Å, c = 9.377 Å
α = 90.00°, β = 90.89°, γ = 90.00°
Sites, in units of the cell vectors:
Ba 0.236 0.000 0.057
Ba 0.249 0.228 0.586
Ba 0.751 0.728 0.414
Ba 0.764 0.500 0.943
Al 0.259 0.707 0.674
Al 0.741 0.207 0.326
Cu 0.248 0.513 0.232
Cu 0.752 0.013 0.768
F 0.008 0.683 0.174
F 0.020 0.540 0.680
F 0.020 0.888 0.653
F 0.209 0.358 0.052
F 0.249 0.696 0.478
F 0.278 0.733 0.861
F 0.496 0.537 0.674
F 0.498 0.886 0.648
F 0.499 0.673 0.170
F 0.501 0.173 0.830
F 0.502 0.386 0.352
F 0.504 0.037 0.326
F 0.722 0.233 0.139
F 0.751 0.196 0.522
F 0.791 0.858 0.948
F 0.980 0.040 0.320
F 0.980 0.388 0.347
F 0.992 0.183 0.826

Results
ΔE_f (raw) = -75.1 kcal/mol of atoms

----------

Entry 1:
# TlCr2FeO8 (PBE with a Hubbard U, optimized geometry)
# D(E_F) (states/eV/cell): 2.4
# Size of the total moment (μB per formula unit): 1.000
# Total DFT energy (no corrections) (eV per atom): -6.23
data_TlCr2FeO8
_chemical_formula_sum 'Tl1 Cr2 Fe1 O8'
_space_group_name_H-M_alt 'P -3'
_space_group_IT_number 147
_space_group_name_Hall '-P 3'
_cell_length_a 5.2234
_cell_length_b 5.2234
_cell_length_c 7.9033
_cell_angle_alpha 90.00
_cell_angle_beta 90.00
_cell_angle_gamma 120.00
loop_
=====
And just as a further note: I started this alternative history off on two different websites – forum.axishistory.com and then www.alternatehistory.com. One of the side effects has been that I’ve ended up fielding a number of questions and inquiries from people going to Finland as visitors – enough inquiries that in the end I decided to start up this Blog (www.alternativefinland.com) to answer those questions to the best of my ability (and also to provide links pointing you to further information on Finland). If my writing leads you to a deeper interest in Finland and its people, I’m happy. And conversely, if my Finland Travel Blog leads you to reading and enjoying my Alternative History of Finland in WW2, then I’m equally as happy.
My alternative history is a work in progress – some sections are more or less complete, some are being worked on, some have not been started. I’m working on the alternative history section on an ongoing basis. If you enjoy what you’ve read so far, please do bookmark me and return. I’d also really appreciate any feedback, comments and questions- and suggestions. When you’re a budding author, it all helps!